== Request ==
It remains to return everything below unchanged.

== Given ==
+++
C4H7N3O | the ωB97M-V functional and the def2-TZVPD basis

## Properties
SMILES string: Nc1coc(N)c1N

```
! RIJCOSX wB97M-V def2-TZVPD def2/J DEFGRID3
* xyz 0 1
N 2.310 0.234 0.193
C 0.982 0.726 -0.099
C 0.184 1.829 -0.070
O -1.111 1.486 -0.003
C -1.284 -0.010 -0.153
N -2.498 -0.445 0.113
C 0.129 -0.402 -0.335
N 0.643 -1.742 -0.178
H 2.191 -0.925 -0.102
H 3.209 0.810 -0.334
H 0.353 2.970 -0.178
H -3.107 -0.938 -0.832
H -3.262 0.039 0.753
H -0.192 -2.130 0.593
H 1.452 -1.503 0.632
*
```



C4H7N3O | the ωB97M-V functional and the def2-TZVPD basis

## Properties
SMILES string: [H]/N=C1\NCCC=NO1

```
! RIJCOSX wB97M-V def2-TZVPD def2/J DEFGRID3
* xyz 0 1
H -3.250 0.502 -0.176
N -2.817 -0.346 0.043
C -1.510 -0.216 0.081
N -0.672 0.793 -0.358
C 0.693 1.089 -0.068
C 1.411 -0.129 0.447
C 1.075 -1.336 -0.274
N -0.031 -1.983 -0.431
O -0.976 -1.427 0.444
H -1.333 1.682 -0.410
H 0.757 1.912 0.634
H 1.118 1.511 -0.932
H 1.154 -0.384 1.439
H 2.528 0.095 0.423
H 1.853 -1.761 -0.862
*
```



C4H7N3O | the ωB97M-V functional and the def2-TZVPD basis

## Properties
SMILES string: Cn1cco/c1=N\N

```
! RIJCOSX wB97M-V def2-TZVPD def2/J DEFGRID3
* xyz 0 1
C -0.671 1.597 -0.164
N -0.660 0.128 -0.155
C -1.785 -0.691 -0.060
C -1.277 -1.970 0.047
O 0.082 -1.884 -0.018
C 0.442 -0.622 -0.027
N 2.040 0.181 0.317
N 3.012 -0.532 -0.039
H -1.588 1.960 -0.801
H -0.775 1.933 0.923
H 0.276 1.881 -0.562
H -2.700 -0.232 0.109
H -1.656 -3.032 0.300
H 3.364 -0.352 -0.982
H 3.396 -1.436 0.260
*
```



C4H7N3O | the ωB97M-V functional and the def2-TZVPD basis

## Properties
SMILES string: NC1(CO)C=NN=C1

```
! RIJCOSX wB97M-V def2-TZVPD def2/J DEFGRID3
* xyz 0 1
N 0.814 0.508 1.595
C 0.168 0.323 0.268
C 0.246 -1.190 0.046
O -0.243 -1.578 -1.069
C 0.464 1.262 -0.908
N -0.535 1.591 -1.589
N -1.717 0.819 -1.171
C -1.257 0.317 0.044
H 0.028 1.278 2.146
H 1.895 0.911 1.342
H -0.182 -1.417 1.230
H 1.263 -1.365 0.087
H -0.412 -2.656 -1.045
H 1.474 1.626 -1.503
H -2.006 -0.428 0.526
*
```



C4H7N3O | the ωB97M-V functional and the def2-TZVPD basis

```
! RIJCOSX wB97M-V def2-TZVPD def2/J DEFGRID3
* xyz 0 1
C -0.951 1.571 0.234
C -0.807 0.023 0.276
C -2.181 -0.780 0.121
C 1.451 -0.160 -0.480
H -2.128 1.964 0.225
H -0.283 1.888 -0.869
H -0.486 2.247 1.027
H -0.703 -0.159 1.303
H 1.267 -2.525 -0.224
H 1.348 0.879 -1.016
H 3.386 -0.006 -0.474
N -2.932 -1.463 -0.546
N 0.161 -0.831 -0.214
N 2.562 -0.599 0.049
O 0.295 -2.050 0.587
*
```



C4H7N3O | the ωB97M-V functional and the def2-TZVPD basis

```
! RIJCOSX wB97M-V def2-TZVPD def2/J DEFGRID3
* xyz 0 1
C -0.571 1.016 -1.421
C 0.598 -0.198 1.192
C -0.364 -1.265 0.781
C 0.937 0.191 2.511
H -0.888 2.290 -1.244
H -0.259 0.774 -2.736
H -1.697 0.525 -1.062
H 1.234 1.177 -1.510
H -0.437 -2.020 1.636
H -1.360 -0.695 0.423
H 0.052 -1.451 -1.287
N 0.693 0.413 -1.012
N 0.994 0.775 0.378
N 1.038 0.465 3.663
O 0.030 -1.997 -0.311
*
```



The evaluated total energy for the records listed, in turn: -395.90654 -396.01140 -395.92694 -395.88627 -395.84738 -395.90407 a.u..

~~~~~

The following is a quantum chemistry calculation of 2 unconnected molecules or ions with the total composition C2Cl2F2O, from the OMol25 dataset.

XYZ file:
```
7
Properties=species:S:1:pos:R:3:mulliken_charge:R:1
C 2.07687 0.41545 -0.44113 0.317
C -1.43098 -0.02929 0.62298 0.388
O 3.18528 0.70862 -0.69108 -0.293
F -0.74297 0.86460 -0.09635 -0.124
F -2.66546 0.49535 0.87041 -0.154
Cl 1.25893 -0.92507 0.02033 -0.037
Cl -1.68167 -1.52968 -0.28515 -0.096
```

Computed properties:
- HOMO (spin up / spin down): -10.56 / -8.65 eV
- 2S+1: 1
+++

== Written answer ==
C4H7N3O | the ωB97M-V functional and the def2-TZVPD basis

## Properties
SMILES string: Nc1coc(N)c1N

```
! RIJCOSX wB97M-V def2-TZVPD def2/J DEFGRID3
* xyz 0 1
N 2.310 0.234 0.193
C 0.982 0.726 -0.099
C 0.184 1.829 -0.070
O -1.111 1.486 -0.003
C -1.284 -0.010 -0.153
N -2.498 -0.445 0.113
C 0.129 -0.402 -0.335
N 0.643 -1.742 -0.178
H 2.191 -0.925 -0.102
H 3.209 0.810 -0.334
H 0.353 2.970 -0.178
H -3.107 -0.938 -0.832
H -3.262 0.039 0.753
H -0.192 -2.130 0.593
H 1.452 -1.503 0.632
*
```



C4H7N3O | the ωB97M-V functional and the def2-TZVPD basis

## Properties
SMILES string: [H]/N=C1\NCCC=NO1

```
! RIJCOSX wB97M-V def2-TZVPD def2/J DEFGRID3
* xyz 0 1
H -3.250 0.502 -0.176
N -2.817 -0.346 0.043
C -1.510 -0.216 0.081
N -0.672 0.793 -0.358
C 0.693 1.089 -0.068
C 1.411 -0.129 0.447
C 1.075 -1.336 -0.274
N -0.031 -1.983 -0.431
O -0.976 -1.427 0.444
H -1.333 1.682 -0.410
H 0.757 1.912 0.634
H 1.118 1.511 -0.932
H 1.154 -0.384 1.439
H 2.528 0.095 0.423
H 1.853 -1.761 -0.862
*
```



C4H7N3O | the ωB97M-V functional and the def2-TZVPD basis

## Properties
SMILES string: Cn1cco/c1=N\N

```
! RIJCOSX wB97M-V def2-TZVPD def2/J DEFGRID3
* xyz 0 1
C -0.671 1.597 -0.164
N -0.660 0.128 -0.155
C -1.785 -0.691 -0.060
C -1.277 -1.970 0.047
O 0.082 -1.884 -0.018
C 0.442 -0.622 -0.027
N 2.040 0.181 0.317
N 3.012 -0.532 -0.039
H -1.588 1.960 -0.801
H -0.775 1.933 0.923
H 0.276 1.881 -0.562
H -2.700 -0.232 0.109
H -1.656 -3.032 0.300
H 3.364 -0.352 -0.982
H 3.396 -1.436 0.260
*
```



C4H7N3O | the ωB97M-V functional and the def2-TZVPD basis

## Properties
SMILES string: NC1(CO)C=NN=C1

```
! RIJCOSX wB97M-V def2-TZVPD def2/J DEFGRID3
* xyz 0 1
N 0.814 0.508 1.595
C 0.168 0.323 0.268
C 0.246 -1.190 0.046
O -0.243 -1.578 -1.069
C 0.464 1.262 -0.908
N -0.535 1.591 -1.589
N -1.717 0.819 -1.171
C -1.257 0.317 0.044
H 0.028 1.278 2.146
H 1.895 0.911 1.342
H -0.182 -1.417 1.230
H 1.263 -1.365 0.087
H -0.412 -2.656 -1.045
H 1.474 1.626 -1.503
H -2.006 -0.428 0.526
*
```



C4H7N3O | the ωB97M-V functional and the def2-TZVPD basis

```
! RIJCOSX wB97M-V def2-TZVPD def2/J DEFGRID3
* xyz 0 1
C -0.951 1.571 0.234
C -0.807 0.023 0.276
C -2.181 -0.780 0.121
C 1.451 -0.160 -0.480
H -2.128 1.964 0.225
H -0.283 1.888 -0.869
H -0.486 2.247 1.027
H -0.703 -0.159 1.303
H 1.267 -2.525 -0.224
H 1.348 0.879 -1.016
H 3.386 -0.006 -0.474
N -2.932 -1.463 -0.546
N 0.161 -0.831 -0.214
N 2.562 -0.599 0.049
O 0.295 -2.050 0.587
*
```



C4H7N3O | the ωB97M-V functional and the def2-TZVPD basis

```
! RIJCOSX wB97M-V def2-TZVPD def2/J DEFGRID3
* xyz 0 1
C -0.571 1.016 -1.421
C 0.598 -0.198 1.192
C -0.364 -1.265 0.781
C 0.937 0.191 2.511
H -0.888 2.290 -1.244
H -0.259 0.774 -2.736
H -1.697 0.525 -1.062
H 1.234 1.177 -1.510
H -0.437 -2.020 1.636
H -1.360 -0.695 0.423
H 0.052 -1.451 -1.287
N 0.693 0.413 -1.012
N 0.994 0.775 0.378
N 1.038 0.465 3.663
O 0.030 -1.997 -0.311
*
```



The evaluated total energy for the records listed, in turn: -395.90654 -396.01140 -395.92694 -395.88627 -395.84738 -395.90407 a.u..

~~~~~

The following is a quantum chemistry calculation of 2 unconnected molecules or ions with the total composition C2Cl2F2O, from the OMol25 dataset.

XYZ file:
```
7
Properties=species:S:1:pos:R:3:mulliken_charge:R:1
C 2.07687 0.41545 -0.44113 0.317
C -1.43098 -0.02929 0.62298 0.388
O 3.18528 0.70862 -0.69108 -0.293
F -0.74297 0.86460 -0.09635 -0.124
F -2.66546 0.49535 0.87041 -0.154
Cl 1.25893 -0.92507 0.02033 -0.037
Cl -1.68167 -1.52968 -0.28515 -0.096
```

Computed properties:
- HOMO (spin up / spin down): -10.56 / -8.65 eV
- 2S+1: 1